What to do:
What is needed: filter the rows further down: keep the lines with the word "Input".

Input:
~~~
# Ba3In2Hg
Computed X-ray diffraction stick pattern, Cu Kα, 1.54184 Å. Input: a PBE-relaxed structure.
No peak broadening, texture or thermal motion is included.

Atomic structure:
```
Ba3In2Hg
1.0
4.2529 0.0000 0.0000
0.0000 4.2529 0.0000
0.0000 0.0000 12.7981
Ba In Hg
3 2 1
direct
0.0000 0.0000 0.0000
0.0000 0.0000 0.3345
0.0000 0.0000 0.6655
0.5000 0.5000 0.1650
0.5000 0.5000 0.8350
0.5000 0.5000 0.5000
```

Top 12 peaks for 5° ≤ 2θ ≤ 70°, sorted by position:
d/Å  2θ/deg  I/Imax
12.798  6.9  3.6
6.399  13.8  1.1
4.036  22.0  1.2
3.542  25.1  1.0
3.010  29.7  100.0
2.133  42.4  6.3
2.126  42.5  12.5
1.738  52.7  39.7
1.506  61.6  8.3
1.504  61.7  4.1
1.349  69.7  5.7
1.345  69.9  11.4



# BaIn7Hg5
Computed X-ray diffraction stick pattern, Cu Kα, 1.54184 Å. Input: a PBE-relaxed structure.
No peak broadening, texture or thermal motion is included.

Atomic structure:
```
BaIn7Hg5
1.0
6.0380 -5.5705 0.0000
6.0380 5.5705 0.0000
-2.8016 0.0000 5.3923
Ba In Hg
1 7 5
direct
0.0000 0.0000 0.0000
0.2107 0.7801 0.5162
0.3566 0.3566 0.3209
0.3594 0.6387 0.9724
0.6387 0.3594 0.9724
0.6388 0.6388 0.6194
0.7801 0.2107 0.5162
0.7837 0.7837 0.3049
0.0014 0.4345 0.4074
0.2058 0.2058 0.7390
0.4345 0.0014 0.4074
0.5578 0.9937 0.9619
0.9937 0.5578 0.9619
```

Top 12 peaks for 5° ≤ 2θ ≤ 70°, sorted by position:
d/Å  2θ/deg  I/Imax
5.355  16.6  44.4
2.785  32.1  52.3
2.757  32.5  69.2
2.738  32.7  66.5
2.697  33.2  100.0
2.679  33.4  46.1
2.665  33.6  76.4
2.653  33.8  58.7
2.589  34.7  36.8
2.472  36.3  40.8
2.427  37.0  57.5
2.347  38.3  38.9



# Ba4In3Hg
Computed X-ray diffraction stick pattern, Cu Kα, 1.54184 Å. Input: a PBE-relaxed structure.
No peak broadening, texture or thermal motion is included.

Atomic structure:
```
Ba4In3Hg
1.0
11.9967 0.0000 0.0000
0.0000 8.6221 0.0000
0.0000 0.0000 5.9974
Ba In Hg
8 6 2
direct
0.0000 0.2471 0.0000
0.0000 0.7529 0.0000
0.2500 0.2471 0.4993
0.2500 0.7529 0.4993
0.5000 0.2471 0.0000
0.5000 0.7529 0.0000
0.7500 0.2471 0.5007
0.7500 0.7529 0.5007
0.0000 0.5000 0.5000
0.2500 0.0000 0.9994
0.2500 0.5000 0.9991
0.5000 0.5000 0.5000
0.7500 0.0000 0.0006
0.7500 0.5000 0.0009
0.0000 0.0000 0.5000
0.5000 0.0000 0.5000
```

Top 12 peaks for 5° ≤ 2θ ≤ 70°, sorted by position:
d/Å  2θ/deg  I/Imax
8.622  10.3  1.8
5.998  14.8  1.4
4.924  18.0  1.8
3.023  29.5  100.0
2.999  29.8  49.0
2.156  41.9  9.6
2.121  42.6  18.3
1.750  52.3  20.0
1.736  52.7  39.0
1.512  61.3  12.3
1.499  61.9  6.0
1.361  69.0  8.7


1.
# Sc5TlCo
Computed powder XRD pattern, λ = 1.5418 Å (Cu Kα). Input: a DFT-relaxed cell (GGA-PBE, Alexandria).
Kinematic intensities with the Lorentz-polarization factor, no thermal factor.

Crystal structure
a b c (Å): 5.9047 5.9047 10.5588
angles (deg): 105.86 105.86 65.03
Fractional coordinates of all 14 atoms:
Sc 0.0160 0.9840 0.7500
Sc 0.0338 0.4070 0.6364
Sc 0.1968 0.5539 0.9513
Sc 0.4070 0.0338 0.1364
Sc 0.4461 0.8032 0.5487
Sc 0.5539 0.1968 0.4513
Sc 0.5930 0.9662 0.8636
Sc 0.8032 0.4461 0.0487
Sc 0.9662 0.5930 0.3636
Sc 0.9840 0.0160 0.2500
Tl 0.4604 0.5396 0.2500
Tl 0.5396 0.4604 0.7500
Co 0.0000 0.0000 0.0000
Co 0.0000 0.0000 0.5000

Peak list (6 most intense, 2θ from 10° to 90°, in order of rising 2θ)
d 5.264, intensity 48; d 4.710, intensity 87; d 4.003, intensity 100; d 2.632, intensity 95; d 2.579, intensity 83; d 1.961, intensity 52

---

2.
# Ba3Ru2PbO9
Computed powder XRD pattern, λ = 1.5418 Å (Cu Kα). Input: a DFT-relaxed cell (GGA-PBE, Alexandria).
Kinematic intensities with the Lorentz-polarization factor, no thermal factor.

Crystal structure
a b c (Å): 5.9509 5.9509 7.3676
angles (deg): 90.00 90.00 120.00
Fractional coordinates of all 15 atoms:
Ba 0.0000 0.0000 0.0000
Ba 0.3333 0.6667 0.6614
Ba 0.6667 0.3333 0.3386
Ru 0.3333 0.6667 0.1429
Ru 0.6667 0.3333 0.8571
Pb 0.0000 0.0000 0.5000
O 0.0000 0.5000 0.0000
O 0.1829 0.3658 0.3044
O 0.1829 0.8171 0.3044
O 0.3658 0.1829 0.6956
O 0.5000 0.0000 0.0000
O 0.5000 0.5000 0.0000
O 0.6342 0.8171 0.3044
O 0.8171 0.1829 0.6956
~~~

Outcome:
Computed X-ray diffraction stick pattern, Cu Kα, 1.54184 Å. Input: a PBE-relaxed structure.
Computed X-ray diffraction stick pattern, Cu Kα, 1.54184 Å. Input: a PBE-relaxed structure.
Computed X-ray diffraction stick pattern, Cu Kα, 1.54184 Å. Input: a PBE-relaxed structure.
Computed powder XRD pattern, λ = 1.5418 Å (Cu Kα). Input: a DFT-relaxed cell (GGA-PBE, Alexandria).
Computed powder XRD pattern, λ = 1.5418 Å (Cu Kα). Input: a DFT-relaxed cell (GGA-PBE, Alexandria).